Brief.
Now start at the top of the notes further down and print each line, ending with the one that has "0.667 0.165".

Entries.
Ba3HfCr2O9: computed powder diffraction line list (Cu Ka), based on a crystal structure in Alexandria, relaxed with GGA+U.

The 10 most intense peaks (5 to 70 degrees two-theta), in order of rising 2θ:
2θ = 12.57°, 7.042 Å, rel. 4; 2θ = 17.88°, 4.961 Å, rel. 6; 2θ = 21.91°, 4.056 Å, rel. 6; 2θ = 31.19°, 2.868 Å, rel. 100; 2θ = 38.48°, 2.340 Å, rel. 6; 2θ = 44.69°, 2.028 Å, rel. 31; 2θ = 55.37°, 1.659 Å, rel. 10; 2θ = 55.54°, 1.655 Å, rel. 29; 2θ = 64.95°, 1.436 Å, rel. 9; 2θ = 65.13°, 1.432 Å, rel. 9

Structure:
Lattice parameters (Å, degrees): 5.729 5.729 7.042 90.00 90.00 120.00
Positions (direct):
Ba1 0.000 0.000 0.000
Ba2 0.333 0.667 0.675
Ba3 0.667 0.333 0.325
Hf1 0.000 0.000 0.500
Cr1 0.333 0.667 0.165
Cr2 0.667 0.333 0.835
O1 0.000 0.500 0.000
O2 0.172 0.344 0.328
O3 0.172 0.828 0.328
O4 0.344 0.172 0.672
O5 0.500 0.000 0.000
O6 0.500 0.500 0.000
O7 0.656 0.828 0.328
O8 0.828 0.172 0.672
O9 0.828 0.656 0.672

Written answer.
Ba3HfCr2O9: computed powder diffraction line list (Cu Ka), based on a crystal structure in Alexandria, relaxed with GGA+U.

The 10 most intense peaks (5 to 70 degrees two-theta), in order of rising 2θ:
2θ = 12.57°, 7.042 Å, rel. 4; 2θ = 17.88°, 4.961 Å, rel. 6; 2θ = 21.91°, 4.056 Å, rel. 6; 2θ = 31.19°, 2.868 Å, rel. 100; 2θ = 38.48°, 2.340 Å, rel. 6; 2θ = 44.69°, 2.028 Å, rel. 31; 2θ = 55.37°, 1.659 Å, rel. 10; 2θ = 55.54°, 1.655 Å, rel. 29; 2θ = 64.95°, 1.436 Å, rel. 9; 2θ = 65.13°, 1.432 Å, rel. 9

Structure:
Lattice parameters (Å, degrees): 5.729 5.729 7.042 90.00 90.00 120.00
Positions (direct):
Ba1 0.000 0.000 0.000
Ba2 0.333 0.667 0.675
Ba3 0.667 0.333 0.325
Hf1 0.000 0.000 0.500
Cr1 0.333 0.667 0.165